
Scholarships and Awards

We recommend students to apply for both internal and external scholarships and awards. Students can find more information about scholarships and awards that are applicable to psychology graduate students at Internal + Donor Funded Awards and Awards + Funding.

Current students have applied and been awarded the following scholarships and awards:

Graduate Fellowship

Review below for the Department of Psychology's additional criteria for Graduate Fellowship.

Arthur and Ancie Fouks Graduate Entrance Award in Public Service

Bert Henry Memorial Graduate Entrance Scholarship

Kruger Products Bicultural Graduate Entrance Fellowship

Simons Foundation Doctoral Entrance Fellowship

Alexis Unrau Memorial Graduate Award in Law and Forensic Psychology

IODE Seaman Morley Scott Memorial Graduate Scholarship

Laurine Harrison Graduate Thesis Award

Marilyn Bowman Graduate Scholarship in Psychology

=====
# C7H14NO2

A cluster of 2 separate species, C7H14NO2 in total (ωB97M-V/def2-TZVPD, the Open Molecules 2025 dataset).

Summary:
* HOMO level (spin up / spin down): -13.873 / -13.873 eV
* relative energy (zero: lowest compared OMol25 entry of this formula, charge and spin): 793.6 kJ/mol
* charge: +1
* gap between HOMO and LUMO (spin up / spin down): 0.282 / 0.282 Ha
* LUMO level (spin up / spin down): -0.227 / -0.228 Eh

CARTESIAN COORDINATES (ANGSTROEM)
C (-4.134, 0.544, -0.317)
C (-2.867, 0.824, -0.144)
C (-1.108, -0.866, 0.449)
C (3.181, 1.237, -0.190)
C (1.589, -2.543, 0.062)
C (-2.011, 0.117, 0.982)
C (1.718, 1.463, -0.598)
N (0.006, -0.628, -0.109)
O (1.008, -1.378, -0.587)
O (0.819, 1.019, 0.287)
H (-4.669, 1.122, -1.155)
H (-4.783, -0.123, 0.208)
H (-2.222, 1.452, -0.767)
H (-1.312, -1.899, 0.578)
H (3.232, 0.750, 0.843)
H (3.747, 0.637, -0.960)
H (3.716, 2.191, -0.214)
H (1.446, -2.448, 1.100)
H (2.628, -2.457, -0.178)
H (1.050, -3.427, -0.244)
H (-2.731, -0.345, 1.766)
H (-1.385, 0.893, 1.550)
H (1.631, 1.272, -1.596)
H (1.451, 2.593, -0.765)

Force components x, y, z for each atom (eV/Å):
-1.402 1.936 -2.561
2.040 -1.192 1.241
1.212 -0.705 -0.213
0.699 -0.779 0.028
-1.180 0.449 0.286
-1.634 2.191 2.175
1.880 2.617 1.454
3.568 2.287 0.717
-1.336 0.782 -1.166
-3.295 -2.409 0.187
0.811 -1.007 1.310
0.150 -0.367 0.620
-0.731 0.045 0.039
-0.473 -1.170 -0.340
0.079 0.776 -1.471
-0.751 0.184 0.953
-0.140 -0.068 0.480
0.041 0.206 1.537
0.444 -0.383 -0.337
0.281 -0.261 -0.538
1.305 0.523 -1.482
-0.949 -0.883 -0.896
-0.933 -1.489 -2.934
0.312 -1.283 0.910

Here are the Mulliken charges for atoms 1 to 8, given in e: number 1, C, carries -0.737; number 2, C, carries -0.011; number 3, C, carries 0.052; number 4, C, carries -0.988; number 5, C, carries -0.660; number 6, C, carries -0.711; number 7, C, carries -0.194; number 8, N, carries 0.240


# C7H14NO2S2

A cluster of 2 separate species, C7H14NO2S2 in total (ωB97M-V/def2-TZVPD, the Open Molecules 2025 dataset).

Summary:
* HOMO level (spin up / spin down): -11.527 / -11.524 eV
* relative energy (zero: lowest compared OMol25 entry of this formula, charge and spin): 0.0 kJ/mol
* charge: +1
* gap between HOMO and LUMO (spin up / spin down): 0.235 / 0.235 Ha
* LUMO level (spin up / spin down): -0.188 / -0.188 Eh

CARTESIAN COORDINATES (ANGSTROEM)
C (-0.340, -0.751, 0.295)
C (-3.204, 0.863, 0.073)
C (0.669, -3.736, -0.229)
C (1.974, 1.035, -0.279)
C (0.399, 2.837, 0.275)
C (-0.597, -3.139, 0.463)
C (-0.448, 0.467, -0.415)
N (0.586, 1.375, 0.234)
O (0.121, -0.750, 1.455)
O (-0.895, -1.826, -0.230)
S (-3.347, -0.667, 0.020)
S (-3.156, 2.506, 0.267)
H (1.124, -4.401, 0.568)
H (0.334, -4.292, -1.146)
H (1.444, -2.986, -0.478)
H (2.871, 1.547, 0.135)
H (2.101, -0.148, -0.494)
H (2.098, 1.528, -1.270)
H (0.805, 3.347, -0.636)
H (-0.603, 3.087, 0.783)
H (1.132, 3.323, 0.998)
H (-0.279, -2.838, 1.417)
H (-1.465, -3.789, 0.373)
H (-0.510, 0.501, -1.465)
H (0.494, 0.832, 1.236)
H (-4.382, 2.543, 0.763)
=====

Michael Stevenson Graduate Scholarship

Annie and Leon Josefowicz Memorial Award

Knud George Pedersen International Graduate Students Fund Endowment

M.D. Angus & Associates Graduate Fellowship in Psychology

Robert Russell Family/First Nations Graduate Award

William & Ada Isabelle Steel Memorial Graduate Scholarship

Please note that current graduate psychology students will be informed as soon as possible by the graduate program assistant when the awards noted above are accepting applications.

In addition, students applied and have been awarded the external tri-agency awards Canada Graduate Scholarship - Master's Program and Canada Graduate Scholarship - Doctoral Program (SSHRC, CIHR, NSERC, Vanier).

If you have any questions about the Department's internal award (e.g., donored funded awards, Graduate Fellowships, etc.) deadlines and requirements, please contact Kathy Nguyen, Graduate Program Assistant, at psycgrad@sfu.ca.

Department of Psychology's criteria for Graduate Fellowship (GF):

Graduate fellowships, valued between $1,000.00 - $7,000.00, will be adjudicated based on:

  1. University Requirements: see the Terms of Reference.
  2. Additional criteria for our Department:
    1. Graduate cumulative GPA of at least 3.5/4.33.
    2. Students' length of time in their degree program and the total amount of scholarships and awards funding received will be considered in GF adjudication process. 
    3. Evidence of successful progress in degree program, as indicated by timely completion of course work, successful completion of comprehensive exams (PhD), scholarly activity and Supervisor's /Committee's/Departmental assessment of student's progress toward thesis research and writing.
  3. The Committee will not (normally) recommend students for funding who have:
    1. The Committee will not (normally) recommend students for funding who have an unsatisfactory progress review in the year preceding the date of application.
    2. Students currently funded by a major scholarship/fellowship valued at $17,000 or more, or students on internship, are not eligible for this competition.
    3. Incoming students who are already offered a GF are not eligible to apply and receive another GF within the same academic year.